Disenchanted rocks Riddell

author: ethan butterfield | a&c writer

This new off-Broadway hit shows how badass princesses can be. | Photo credit: Sterling Productions
Sterling brings the princess-rock musical off Broadway to the city.
So, as of recently, I had the chance to go to the Sterling Productions feature of Disenchanted here at the University of Regina’s Riddell Centre. I must say, the show was absolutely brilliant. An empowering tale for women to not be held down by what society portrays as the norm. This tale brings together classic Disney princesses and presents them with such risqué hilarity that I thought my lungs would give out. For more on the show overall, below you’ll find an interview that I was extremely happy to hold with Artistic Director Shanna-Marie Jones.
What was it like getting the cast and crew together and working with everyone?
I think it was a really special experience, not only because the show is so new and it’s just right off Broadway, well off off-Broadway. No one had heard of it before, so there was all this buzz and this excitement around a show that involved so many princesses, because everybody loves being a princess. So there was all of that excitement, plus the show had a really strong message and I think that was really important. But putting it together, there was a lot of songs, so the show is a very different style of show, it’s a cabaret or vaudevillian style of show, so it had a lot of choreography and a lot of music and not a lot of script, which is not what a lot people are used to. So that took a lot of extra work as well, but the cast and the crew were absolutely phenomenal, everybody was really dedicated, especially because they loved it so much. So it was great.
Since this is an empowering show for women, and a lot of women are involved with the show, what in your mind or your eyes did you feel that the main message of the show would be for women?
I think the main message is actually summed up in Sleeping Beauty’s song, which was “Perfect” and how she sings about, you know, she may not have perfect hair, she may not have perfect skin or the perfect body, but she’s perfect just the way that she is, and I really love that. I think that the main message is that every woman, it doesn’t matter who you are or what your culture is, even, you know, what sexuality you are, if you identify yourself as a woman, you are perfect.
As mentioned before, the show is a combination of different styles, very humorous, very risqué, very emotional, was that the original idea going forward into the show? To keep that blend?
The show’s actually written that way; the only difference is that…I think you have to be really careful when producing a show to know you’re demographic and to know where you are. The character of Pocahontas was extremely important to me and I think extremely important to Regina and Saskatchewan as a whole. So I found, unfortunately some of the parts, the way she was treated in the original script was not 100 per cent the way I wanted her to be treated. That being said, it was simply, it actually was the characters around her that I found were a little more offensive. Her character itself was 100 per cent beautiful and 100 per cent honest and I think that was wonderful, but I wanted to tidy up the way the other people treated her as well, just to be respectful. Because she’s not caricature, in fact, she’s the only one who’s a real person, so I wanted to be really respectful to that memory and, of course, that culture as a whole.
Between two parts of the text: materials data =
-- begin --
(1)
This entry pairs a crystal structure of Fe3As5Au with its simulated powder diffraction line list. Radiation: Cu Ka. Structure: a crystal structure in OQMD, relaxed with GGA-PBE.
Peak positions follow from Bragg's law for the DFT cell and can differ from measured ones.

Structural model:
Unit cell a=4.9450 b=4.9450 c=7.3279 alpha=90.00 beta=90.00 gamma=120.00
Sites, in units of the cell vectors:
Fe1 0.0000 0.5000 0.0000
Fe2 0.5000 0.0000 0.0000
Fe3 0.5000 0.5000 0.0000
As1 0.0000 0.0000 0.0000
As2 0.3333 0.6667 0.2825
As3 0.3333 0.6667 0.7175
As4 0.6667 0.3333 0.2825
As5 0.6667 0.3333 0.7175
Au1 0.0000 0.0000 0.5000

The 10 most intense peaks (2θ = 10–80°), by angle:
d [Å]  I (rel.)
3.697  35
2.784  100
2.473  78
2.343  28
2.122  26
1.849  82
1.832  17
1.481  30
1.472  21
1.236  17

***

(2)
This entry pairs a crystal structure of H3Pt with its simulated powder diffraction line list. Radiation: Cu Ka. Structure: a crystal structure in OQMD, relaxed with GGA-PBE.
Peak positions follow from Bragg's law for the DFT cell and can differ from measured ones.

Structural model:
Unit cell a=5.6841 b=5.6841 c=6.2709 alpha=90.00 beta=90.00 gamma=120.00
Sites, in units of the cell vectors:
H1 0.0000 0.0000 0.0000
H2 0.0000 0.0000 0.5000
H3 0.0000 0.2294 0.2576
H4 0.0000 0.4570 0.7244
H5 0.0000 0.5430 0.2244
H6 0.0000 0.7706 0.7576
H7 0.2294 0.0000 0.2576
H8 0.2294 0.2294 0.7576
H9 0.3333 0.6667 0.4986
H10 0.3333 0.6667 0.9986
H11 0.4570 0.0000 0.7244
H12 0.4570 0.4570 0.2244
H13 0.5430 0.0000 0.2244
H14 0.5430 0.5430 0.7244
H15 0.6667 0.3333 0.4986
H16 0.6667 0.3333 0.9986
H17 0.7706 0.0000 0.7576
H18 0.7706 0.7706 0.2576
Pt1 0.0000 0.3497 0.0198
Pt2 0.0000 0.6503 0.5198
Pt3 0.3497 0.0000 0.0198
Pt4 0.3497 0.3497 0.5198
Pt5 0.6503 0.0000 0.5198
Pt6 0.6503 0.6503 0.0198

The 10 most intense peaks (2θ = 10–80°), by angle:
d [Å]  I (rel.)
3.135  37
2.842  21
2.589  100
2.106  18
1.684  28
1.641  17
1.568  5
1.454  22
1.386  14
1.373  5

***

(3)
This entry pairs a crystal structure of Gd2SiO5 with its simulated powder diffraction line list. Radiation: Cu Ka. Structure: a crystal structure in OQMD, relaxed with GGA-PBE.
Peak positions follow from Bragg's law for the DFT cell and can differ from measured ones.

Structural model:
Unit cell a=9.0664 b=6.9047 c=6.7155 alpha=90.00 beta=106.41 gamma=90.00
Sites, in units of the cell vectors:
Gd1 0.0272 0.1252 0.2335
Gd2 0.0272 0.3748 0.7335
Gd3 0.3805 0.1411 0.0705
Gd4 0.3805 0.3589 0.5705
Gd5 0.6195 0.6411 0.4295
Gd6 0.6195 0.8589 0.9295
Gd7 0.9728 0.6252 0.2665
Gd8 0.9728 0.8748 0.7665
Si1 0.2983 0.5897 0.0326
Si2 0.2983 0.9103 0.5326
Si3 0.7017 0.0897 0.4674
Si4 0.7017 0.4103 0.9674
O1 0.1135 0.6358 0.9942
O2 0.1135 0.8642 0.4942
O3 0.1168 0.1180 0.9442
O4 0.1168 0.3820 0.4442
O5 0.2933 0.0702 0.3465
O6 0.2933 0.4298 0.8465
O7 0.3734 0.0465 0.7344
O8 0.3734 0.4535 0.2344
O9 0.3963 0.7181 0.5305
O10 0.3963 0.7819 0.0305
O11 0.6037 0.2181 0.9695
O12 0.6037 0.2819 0.4695
O13 0.6266 0.5465 0.7656
-- stop --
Here the text continues =
How do you feel that risqué humour translated with the audience?
I actually can tell you that my husband’s grandmother, so that’ll set the age for you, came to see the show and she told me she didn’t like it, and that was okay! I know Sterling Productions, our demographic is a younger demographic, which is really important. Most theatre, in the old days, was aimed at those older classics and I think it’s really important that the young people these days are getting their theatre, too. You know, you’re getting your message out and well, she did tell me that she didn’t like it, she did tell me that she liked Rapunzel. So I guess everybody likes Rapunzel! So there are bits and pieces for everyone in it, but as a whole, it lends itself to the younger demographic and that’s okay.
## Inserted here: crystal structures
No. 1
# K3Rb4Au3O2
Simulated X-ray diffraction stick pattern, Cu Ka. Input: a crystal structure in Alexandria, relaxed with PBE.

Largest 6 diffraction maxima, low angle first, 10 to 90 degrees two-theta:
5.493 Å, 16.1 deg, I 24
3.862 Å, 23.0 deg, I 41
2.988 Å, 29.9 deg, I 100
2.800 Å, 32.0 deg, I 32
2.667 Å, 33.6 deg, I 28
1.595 Å, 57.8 deg, I 30

```
data_K3Rb4Au3O2
_symmetry_space_group_name_H-M 'I m m m'
_symmetry_Int_Tables_number 71
_symmetry_space_group_name_Hall '-I 2 2'
_cell_length_a 5.333
_cell_length_b 5.599
_cell_length_c 28.296
_cell_angle_alpha 90.00
_cell_angle_beta 90.00
_cell_angle_gamma 90.00
loop_
_atom_site_label
_atom_site_fract_x
_atom_site_fract_y
_atom_site_fract_z
_atom_site_occupancy
K1 0.000 0.000 0.000 1
K2 0.000 0.500 0.406 1
Rb1 0.000 0.000 0.191 1
Rb2 0.000 0.500 0.093 1
Au1 0.000 0.000 0.318 1
Au2 0.000 0.000 0.500 1
O1 0.000 0.000 0.095 1
```



No. 2
# KAuS2O8
Simulated X-ray diffraction stick pattern, Cu Ka. Input: a crystal structure in Alexandria, relaxed with PBE.

Largest 6 diffraction maxima, low angle first, 10 to 90 degrees two-theta:
6.085 Å, 14.6 deg, I 100
3.822 Å, 23.3 deg, I 52
3.243 Å, 27.5 deg, I 48
3.090 Å, 28.9 deg, I 47
2.187 Å, 41.3 deg, I 17
2.035 Å, 44.5 deg, I 27

```
data_KAuS2O8
_symmetry_space_group_name_H-M 'C 1 2/c 1'
_symmetry_Int_Tables_number 15
_symmetry_space_group_name_Hall '-C 2yc'
_cell_length_a 11.412
_cell_length_b 7.645
_cell_length_c 9.640
_cell_angle_alpha 90.00
_cell_angle_beta 118.28
_cell_angle_gamma 90.00
loop_
_atom_site_label
_atom_site_fract_x
_atom_site_fract_y
_atom_site_fract_z
_atom_site_occupancy
K1 0.000 0.010 0.250 1
Au1 0.000 0.500 0.000 1
S1 0.197 0.481 0.859 1
O1 0.114 0.394 0.217 1
O2 0.147 0.305 0.818 1
O3 0.162 0.010 0.586 1
O4 0.172 0.442 0.492 1
```



No. 3
# K6Au2SeO
Simulated X-ray diffraction stick pattern, Cu Ka. Input: a crystal structure in Alexandria, relaxed with PBE.

Largest 6 diffraction maxima, low angle first, 10 to 90 degrees two-theta:
5.669 Å, 15.6 deg, I 30
3.990 Å, 22.3 deg, I 100
3.216 Å, 27.7 deg, I 35
2.835 Å, 31.6 deg, I 34
2.516 Å, 35.7 deg, I 47
2.278 Å, 39.6 deg, I 36

```
data_K6Au2SeO
_symmetry_space_group_name_H-M 'P 1 21/c 1'
_symmetry_Int_Tables_number 14
_symmetry_space_group_name_Hall '-P 2ybc'
_cell_length_a 7.846
_cell_length_b 8.200
_cell_length_c 13.689
_cell_angle_alpha 90.00
_cell_angle_beta 124.86
_cell_angle_gamma 90.00
loop_
_atom_site_label
_atom_site_fract_x
_atom_site_fract_y
_atom_site_fract_z
_atom_site_occupancy
K1 0.129 0.035 0.226 1
K2 0.228 0.724 0.053 1
K3 0.323 0.179 0.047 1
Au1 0.271 0.064 0.751 1
Se1 0.500 0.000 0.500 1
O1 0.000 0.000 0.000 1
```

----------

1.
Structure and calculated powder diffractogram of Rb3TlV2Br9 (a crystal structure in Alexandria, relaxed with PBE; Cu Kα (weighted mean of Kα1 and Kα2)).
Lines closer than 0.1° are merged.

Top 12 peaks for 2θ = 15–90°, sorted by position:
d/Å	2θ (°)	I_rel	hkl
5.590	15.9	37.8	1 0 1
4.123	21.6	21.6	0 1 2
3.802	23.4	13.5	1 1 0
## The crystal structures stop here
What was said above holds merit as well. Don’t feel like society can judge you on what to wear or how to look in general. You are who you are, and that’s an absolutely amazing person to be. Until next time!